To do:
Reproduce the entries underneath without altering anything.

Entries:
-- begin --
1.
This record from the Open Molecules 2025 dataset describes C4H16O8Y as an isolated structure. The level of theory is wB97M-V/def2-TZVPD.

As for the net charge: -1. The HOMO energy comes out at -2.02 eV. Its energy above the lowest of the compared OMol25 structures with the same formula, charge and spin is 0.341 eV. The value obtained for the LUMO energy is 0.070 Eh. Its spin multiplicity is 1. As for the gap between HOMO and LUMO: 3.919 eV.

Each line ends with the Mulliken charge.
Element x y z (Å)
Y: -23.567 10.210 5.100  1.675
O: -21.459 10.615 4.055  -0.812
O: -24.010 10.283 2.805  -0.727
O: -25.699 11.221 5.114  -0.491
O: -25.124 8.466 4.852  -0.452
O: -21.218 8.550 8.455  -0.844
O: -22.285 8.160 5.354  -0.424
O: -23.484 10.051 7.315  -0.441
O: -23.138 12.386 5.730  -0.416
C: -21.572 10.210 2.737  -0.359
C: -22.860 10.647 2.090  -0.347
C: -22.090 9.268 9.136  -0.498
C: -23.445 9.307 8.504  -0.497
H: -26.399 11.236 5.769  0.256
H: -25.527 8.358 3.985  0.277
H: -24.191 9.743 9.207  0.253
H: -25.529 7.841 5.457  0.239
H: -21.793 10.361 9.269  0.084
H: -26.061 11.528 4.278  0.283
H: -22.779 11.760 2.169  0.127
H: -22.968 10.416 1.018  0.354
H: -20.667 10.532 2.182  0.362
H: -23.745 8.258 8.291  0.145
H: -22.270 8.889 10.196  0.224
H: -21.414 8.225 4.950  0.245
H: -23.141 12.642 6.657  0.270
H: -21.536 9.085 2.668  0.078
H: -22.300 7.374 5.903  0.213
H: -22.991 13.165 5.190  0.220

---

2.
This record from the Open Molecules 2025 dataset describes an isolated molecule of C20H30N2O3. The level of theory is wB97M-V/def2-TZVPD.

As for the net charge: 0. The HOMO energy comes out at -8.71 eV. Its energy above the lowest of the compared OMol25 structures with the same formula, charge and spin is 0.634 eV. The value obtained for the LUMO energy is 0.029 Eh. Its spin multiplicity is 1. The structure (SMILES) is CCCCNC(=O)N1CCC[C@H](C(=O)c2cc(C)c(OC)c(C)c2)C1. As for the gap between HOMO and LUMO: 9.496 eV.

Each line ends with the Mulliken charge.
Element x y z (Å)
O: 0.413 -1.398 0.663  -0.546
O: -0.012 1.743 1.277  -0.664
O: -0.390 1.256 -5.050  -0.665
N: 0.830 0.861 3.185  -0.128
N: -1.366 0.425 2.518  0.170
C: -1.596 -0.559 3.554  -1.294
C: -2.104 -2.257 1.793  -1.506
C: -0.605 -1.074 0.090  0.338
C: -0.435 0.664 -3.796  0.624
C: 0.437 1.092 -2.792  0.412
C: 3.023 0.164 2.269  -0.018
C: -2.240 0.229 1.388  -1.799
C: -0.151 1.022 2.249  0.659
C: 0.535 0.654 -5.930  -0.771
C: -0.580 -0.489 -1.273  0.389
C: -1.455 -0.887 -2.277  -0.411
C: -1.978 -1.151 0.737  0.810
C: 3.386 -0.945 3.259  -0.333
C: -1.273 -1.964 3.043  -0.062
C: 2.178 1.290 2.874  -1.083
C: 1.429 2.187 -3.044  -1.952
C: 4.359 -0.493 4.342  -1.360
C: -1.386 -0.330 -3.544  0.490
C: -2.322 -0.783 -4.625  -1.871
C: 0.368 0.490 -1.546  -0.574
H: -3.158 -2.344 2.075  0.426
H: -2.180 -1.669 -2.096  0.524
H: 3.940 0.594 1.863  0.474
H: 1.121 2.790 -3.895  0.381
H: 2.415 1.769 -3.249  0.375
H: -2.731 -1.300 -0.041  0.632
H: 2.481 -1.341 3.725  0.097
H: -1.029 -0.310 4.452  0.447
H: 1.021 0.820 -0.753  0.404
H: 3.840 -1.765 2.698  0.448
H: -1.791 -3.210 1.360  0.423
H: 4.640 -1.334 4.973  0.411
H: -1.490 -2.704 3.816  0.468
H: 2.083 2.104 2.153  0.404
H: 2.456 -0.274 1.444  -0.083
H: -3.278 0.278 1.730  0.473
H: -2.659 -0.502 3.817  0.446
H: 1.508 2.821 -2.164  0.459
H: -0.215 -2.028 2.787  0.039
H: 2.637 1.679 3.787  0.443
H: 0.277 -0.393 -6.125  0.277
H: 3.918 0.271 4.977  0.308
H: 5.262 -0.085 3.893  0.292
H: 0.482 1.219 -6.860  0.282
H: -2.409 -0.017 -5.392  0.372
H: -2.055 1.030 0.670  0.594
H: 0.779 0.063 3.794  0.238
H: -3.308 -0.990 -4.215  0.465
H: -1.952 -1.698 -5.088  0.349
H: 1.555 0.697 -5.534  0.281

---

3.
This record from the Open Molecules 2025 dataset describes C29H31N4O5STa as an isolated structure. The level of theory is wB97M-V/def2-TZVPD.
-- stop --

Response:
1.
This record from the Open Molecules 2025 dataset describes C4H16O8Y as an isolated structure. The level of theory is wB97M-V/def2-TZVPD.

As for the net charge: -1. The HOMO energy comes out at -2.02 eV. Its energy above the lowest of the compared OMol25 structures with the same formula, charge and spin is 0.341 eV. The value obtained for the LUMO energy is 0.070 Eh. Its spin multiplicity is 1. As for the gap between HOMO and LUMO: 3.919 eV.

Each line ends with the Mulliken charge.
Element x y z (Å)
Y: -23.567 10.210 5.100  1.675
O: -21.459 10.615 4.055  -0.812
O: -24.010 10.283 2.805  -0.727
O: -25.699 11.221 5.114  -0.491
O: -25.124 8.466 4.852  -0.452
O: -21.218 8.550 8.455  -0.844
O: -22.285 8.160 5.354  -0.424
O: -23.484 10.051 7.315  -0.441
O: -23.138 12.386 5.730  -0.416
C: -21.572 10.210 2.737  -0.359
C: -22.860 10.647 2.090  -0.347
C: -22.090 9.268 9.136  -0.498
C: -23.445 9.307 8.504  -0.497
H: -26.399 11.236 5.769  0.256
H: -25.527 8.358 3.985  0.277
H: -24.191 9.743 9.207  0.253
H: -25.529 7.841 5.457  0.239
H: -21.793 10.361 9.269  0.084
H: -26.061 11.528 4.278  0.283
H: -22.779 11.760 2.169  0.127
H: -22.968 10.416 1.018  0.354
H: -20.667 10.532 2.182  0.362
H: -23.745 8.258 8.291  0.145
H: -22.270 8.889 10.196  0.224
H: -21.414 8.225 4.950  0.245
H: -23.141 12.642 6.657  0.270
H: -21.536 9.085 2.668  0.078
H: -22.300 7.374 5.903  0.213
H: -22.991 13.165 5.190  0.220

---

2.
This record from the Open Molecules 2025 dataset describes an isolated molecule of C20H30N2O3. The level of theory is wB97M-V/def2-TZVPD.

As for the net charge: 0. The HOMO energy comes out at -8.71 eV. Its energy above the lowest of the compared OMol25 structures with the same formula, charge and spin is 0.634 eV. The value obtained for the LUMO energy is 0.029 Eh. Its spin multiplicity is 1. The structure (SMILES) is CCCCNC(=O)N1CCC[C@H](C(=O)c2cc(C)c(OC)c(C)c2)C1. As for the gap between HOMO and LUMO: 9.496 eV.

Each line ends with the Mulliken charge.
Element x y z (Å)
O: 0.413 -1.398 0.663  -0.546
O: -0.012 1.743 1.277  -0.664
O: -0.390 1.256 -5.050  -0.665
N: 0.830 0.861 3.185  -0.128
N: -1.366 0.425 2.518  0.170
C: -1.596 -0.559 3.554  -1.294
C: -2.104 -2.257 1.793  -1.506
C: -0.605 -1.074 0.090  0.338
C: -0.435 0.664 -3.796  0.624
C: 0.437 1.092 -2.792  0.412
C: 3.023 0.164 2.269  -0.018
C: -2.240 0.229 1.388  -1.799
C: -0.151 1.022 2.249  0.659
C: 0.535 0.654 -5.930  -0.771
C: -0.580 -0.489 -1.273  0.389
C: -1.455 -0.887 -2.277  -0.411
C: -1.978 -1.151 0.737  0.810
C: 3.386 -0.945 3.259  -0.333
C: -1.273 -1.964 3.043  -0.062
C: 2.178 1.290 2.874  -1.083
C: 1.429 2.187 -3.044  -1.952
C: 4.359 -0.493 4.342  -1.360
C: -1.386 -0.330 -3.544  0.490
C: -2.322 -0.783 -4.625  -1.871
C: 0.368 0.490 -1.546  -0.574
H: -3.158 -2.344 2.075  0.426
H: -2.180 -1.669 -2.096  0.524
H: 3.940 0.594 1.863  0.474
H: 1.121 2.790 -3.895  0.381
H: 2.415 1.769 -3.249  0.375
H: -2.731 -1.300 -0.041  0.632
H: 2.481 -1.341 3.725  0.097
H: -1.029 -0.310 4.452  0.447
H: 1.021 0.820 -0.753  0.404
H: 3.840 -1.765 2.698  0.448
H: -1.791 -3.210 1.360  0.423
H: 4.640 -1.334 4.973  0.411
H: -1.490 -2.704 3.816  0.468
H: 2.083 2.104 2.153  0.404
H: 2.456 -0.274 1.444  -0.083
H: -3.278 0.278 1.730  0.473
H: -2.659 -0.502 3.817  0.446
H: 1.508 2.821 -2.164  0.459
H: -0.215 -2.028 2.787  0.039
H: 2.637 1.679 3.787  0.443
H: 0.277 -0.393 -6.125  0.277
H: 3.918 0.271 4.977  0.308
H: 5.262 -0.085 3.893  0.292
H: 0.482 1.219 -6.860  0.282
H: -2.409 -0.017 -5.392  0.372
H: -2.055 1.030 0.670  0.594
H: 0.779 0.063 3.794  0.238
H: -3.308 -0.990 -4.215  0.465
H: -1.952 -1.698 -5.088  0.349
H: 1.555 0.697 -5.534  0.281

---

3.
This record from the Open Molecules 2025 dataset describes C29H31N4O5STa as an isolated structure. The level of theory is wB97M-V/def2-TZVPD.